Let’s shed some light on some truly obscure horror titles that you’ve likely never played. Granted, some of these games are pretty difficult to find these days, but nobody said being a horror gaming fan was easy.
Obscure/Obscure II

The appropriately named Obscure series just never got the love it deserved.
Stylistically modeled after classic slasher films, the Obscure series puts you in control of various teenagers with unique abilities who must survive a series of supernatural threats. Their Resident Evil-like gameplay was a little outdated even at the time of their release, but few games celebrate the joy of the horror genre quite like these.
Bonus points also have to be assigned to these games’ co-op modes, which remain something of a genre rarity but were executed to near perfection in these true gems.

Here we have another horror game that was seemingly overlooked largely due to the Resident Evil fatigue that had started to set in by the time of its 2001 release date.
Extermination is a conceptually brilliant survival horror game that essentially combines the best bits of The Thing and Resident Evil. Much of that brilliance can be attributed to an infection system that brilliantly twists the tropes of classic health bars by presenting an alternate threat that completely changes the way you play and utilize your resources.
Years later, it’s easy to love Extermination for emphasizing the survival element of the survival-horror genre.
Forbidden Siren 2

# Records of crystals from another source follow
┌──
The following is a PBE-GGA calculation of crystalline Bi2AsCF at its relaxed geometry, from Alexandria.

Values from the calculation:
Magnetization in μB/f.u.: 0.000
Uncorrected formation energy in eV/atom: 0.5019

a b c (Å): 5.131 5.131 4.014
angles (deg): 90.00 90.00 90.00
Space group P4/mmm (No. 123)
Unique sites:
Bi: 0.000 0.500 0.000 x2
As: 0.000 0.000 0.500 x1
C: 0.000 0.000 0.000 x1
F: 0.500 0.500 0.500 x1


(1)
# Hg2GeSe2 PBE-GGA relaxed
data_Hg2GeSe2
_symmetry_space_group_name_H-M 'P 1'
_symmetry_Int_Tables_number 1
_cell_length_a 7.963
_cell_length_b 7.963
_cell_length_c 4.150
_cell_angle_alpha 90.00
_cell_angle_beta 90.00
_cell_angle_gamma 90.00
loop_
_symmetry_equiv_pos_as_xyz
'x,y,z'
loop_
_atom_site_label
_atom_site_type_symbol
_atom_site_fract_x
_atom_site_fract_y
_atom_site_fract_z
Ge1 Ge 0.000 0.000 0.000
Ge2 Ge 0.500 0.500 0.000
Hg1 Hg 0.121 0.621 0.500
Hg2 Hg 0.621 0.879 0.500
Hg3 Hg 0.879 0.379 0.500
Hg4 Hg 0.379 0.121 0.500
Se1 Se 0.278 0.778 0.000
Se2 Se 0.778 0.722 0.000
Se3 Se 0.722 0.222 0.000
Se4 Se 0.222 0.278 0.000
# DOS at the Fermi energy = 0.487 states/eV per atom
# Calculated total energy = -11.761 eV/f.u.

***

(2)
# SmHo4Mg2 PBE-GGA relaxed
data_SmHo4Mg2
_symmetry_space_group_name_H-M 'P 1'
_symmetry_Int_Tables_number 1
_cell_length_a 5.193
_cell_length_b 5.193
_cell_length_c 10.687
_cell_angle_alpha 75.94
_cell_angle_beta 75.94
_cell_angle_gamma 60.00
loop_
_symmetry_equiv_pos_as_xyz
'x,y,z'
loop_
_atom_site_label
_atom_site_type_symbol
_atom_site_fract_x
_atom_site_fract_y
_atom_site_fract_z
Sm1 Sm 0.500 0.500 0.500
Ho1 Ho 0.704 0.704 0.889
Ho2 Ho 0.895 0.895 0.315
Ho3 Ho 0.296 0.296 0.111
Ho4 Ho 0.105 0.105 0.685
Mg1 Mg 0.600 0.600 0.199
Mg2 Mg 0.400 0.400 0.801
# DOS at the Fermi energy = 1.936 states/eV per atom
# Formation energy = 0.50 eV/atom
# Calculated total energy = -22.688 eV/f.u.

***

(3)
# TbPmHo2 PBE-GGA relaxed
data_TbPmHo2
_symmetry_space_group_name_H-M 'P 1'
_symmetry_Int_Tables_number 1
_cell_length_a 5.026
_cell_length_b 5.046
_cell_length_c 5.046
_cell_angle_alpha 90.00
_cell_angle_beta 90.00
_cell_angle_gamma 90.00
loop_
_symmetry_equiv_pos_as_xyz
'x,y,z'
loop_
_atom_site_label
_atom_site_type_symbol
_atom_site_fract_x
_atom_site_fract_y
_atom_site_fract_z
Tb1 Tb 0.500 0.500 0.500
Ho1 Ho 0.000 0.000 0.500
Ho2 Ho 0.000 0.500 0.000
Pm1 Pm 0.500 0.000 0.000
# DOS at the Fermi energy = 1.467 states/eV per atom
# Formation energy = 0.02 eV/atom
# ΔE to the lowest computed polymorph = 4.8 meV/atom
# Calculated total energy = -18.455 eV/f.u.

***

(4)
# AcGe2Rh PBE-GGA relaxed
data_AcGe2Rh
_symmetry_space_group_name_H-M 'P 1'
_symmetry_Int_Tables_number 1
_cell_length_a 3.404
_cell_length_b 3.404
_cell_length_c 7.152
_cell_angle_alpha 90.00
_cell_angle_beta 90.00
_cell_angle_gamma 90.00
loop_
_symmetry_equiv_pos_as_xyz
'x,y,z'
loop_
_atom_site_label
_atom_site_type_symbol
_atom_site_fract_x
_atom_site_fract_y
_atom_site_fract_z
Ac1 Ac 0.500 0.500 0.500
Rh1 Rh 0.500 0.500 0.000
└──

Forbidden Siren 2 had a lot working against it. As the strangely-named sequel to the frustrating and obscure 2003 horror game, Siren, Forbidden Siren 2 struggled to convince new players and existing fans to give it a shot.
Those who have played this game, though, will likely tell you that Forbidden Siren 2 is a near-masterpiece. This complex psychological horror game fixes many of the mechanical issues that plagued its predecessor while retaining its innovative “butterfly effect” storytelling techniques and possession gameplay.
We’ve heard rumors that Sony is interested in remaking the Siren series, which would be a big win for the millions who never got the chance to experience this game for themselves.
Silent Hill: Downpour

Silent Hill 4: The Room occasionally gets the love it deserves, and Silent Hill: Homecoming is rightfully recognized as a storytelling masterpiece. For some reason, though, Silent Hill: Downpour has never really found an audience.
Granted, the game is extremely rough around the edges, but Downpour brilliantly resurrects the exploration and survival elements of the older Silent Hill games while casting you in the relatively unique role of an escaped convict who must navigate the titular town.
Downpour’s disturbing environments and muted melee combat will instantly appeal to anyone who fell in love with the first two Silent Hill games or just misses that style of horror game design.
Echo Night: Beyond

Call me crazy, but you can never have enough sci-fi ghost stories. For whatever reason, we don’t see many games that blend the scientific and the supernatural.
While that intersection of concepts immediately helps Echo Night: Beyond stand out, it’s really the title’s gameplay that sets it apart. As a first-person horror game with no real combat, Beyond was ahead of its time in terms of trends. Yet, even titles like Amnesia never really replicated Echo Night‘s looming sense of dread and excellent exploration concepts.
It’s certainly not easy to play this game today, but the effort may be worth it if you’re a horror fan looking for something different.
Cold Fear

**Here the page breaks off for materials data**
-- begin --
Entry i
A plane-wave DFT calculation with PBE was carried out for a relaxed MgUW crystal.

Geometry as POSCAR:
```
MgUW
1.0
0.0000 3.2538 3.2538
3.2538 0.0000 3.2538
3.2538 3.2538 0.0000
Mg W U
1 1 1
Direct
0.2500 0.2500 0.2500
0.7500 0.7500 0.7500
0.0000 0.0000 0.0000
```

Space-group type: F-43m

***

Entry ii
A plane-wave DFT calculation with PBE was carried out for a relaxed MgUW crystal.

Geometry as POSCAR:
```
MgUW
1.0
-0.0872 -3.5613 2.8524
-2.5229 -3.6676 -1.0054
2.0309 -3.9144 -1.1744
U Mg W
1 1 1
Direct
0.5000 0.5000 0.5000
0.0000 0.0000 0.0000
0.2500 0.2500 0.2500
```

Space-group type: F-43m

***

Which one is most stable, and which one is least stable? entry ii is the most stable of them, while entry i is the least stable.

***

Entry i
A plane-wave DFT calculation with PBE was carried out for a relaxed MgZrU crystal.

Geometry as POSCAR:
```
MgZrU
1.0
4.7465 -0.2990 1.0109
1.6780 -3.6543 2.7333
2.6994 -3.5045 -2.0180
Mg U Zr
1 1 1
Direct
0.0000 0.0000 0.0000
0.2500 0.2500 0.2500
0.7500 0.7500 0.7500
```

Space-group type: F-43m

***

Entry ii
A plane-wave DFT calculation with PBE was carried out for a relaxed MgZrU crystal.

Geometry as POSCAR:
```
MgZrU
1.0
0.8474 -3.9115 -2.8109
-3.3567 -1.4510 -3.2475
0.8260 0.5619 -4.7876
Zr U Mg
1 1 1
Direct
0.7500 0.7500 0.7500
0.0000 0.0000 0.0000
0.2500 0.2500 0.2500
```

Space-group type: F-43m

***

Which one is most stable, and which one is least stable? entry i is the most stable of them, while entry ii is the least stable.

***

Entry i
A plane-wave DFT calculation with PBE was carried out for a relaxed Mg2W crystal.

Geometry as POSCAR:
```
Mg2W
1.0
-2.2002 4.4606 0.8460
-0.2961 -1.9733 9.6349
4.0473 1.8989 0.5133
Mg W
8 4
Direct
0.4925 0.1626 0.0000
0.8409 0.1626 0.5000
0.3409 0.3374 0.5000
0.8409 0.8374 0.5000
0.3409 0.6626 0.5000
0.4925 0.8374 0.0000
0.9925 0.6626 0.0000
0.9925 0.3374 0.0000
0.0260 0.0000 0.0000
0.5262 0.5000 0.0000
0.3071 0.0000 0.5000
0.8073 0.5000 0.5000
```

Space-group type: Cmcm

***

Entry ii
A plane-wave DFT calculation with PBE was carried out for a relaxed Mg2W crystal.

Geometry as POSCAR:
```
Mg2W
1.0
5.4494 0.0000 0.0000
-2.7247 4.7193 0.0000
0.0000 0.0000 8.1800
Mg W
8 4
Direct
0.8243 0.1757 0.7500
0.8243 0.6485 0.7500
0.0000 0.0000 0.5000
0.0000 0.0000 0.0000
0.1757 0.8243 0.2500
0.3515 0.1757 0.7500
0.6485 0.8243 0.2500
0.1757 0.3515 0.2500
0.3333 0.6667 0.9113
0.6667 0.3333 0.0887
0.6667 0.3333 0.4113
0.3333 0.6667 0.5887
```

Space-group type: P6_3/mmc

***

Which one is most stable, and which one is least stable? entry i is the most stable of them, while entry ii is the least stable.

----------

Record 1
DFT (meta-GGA SCAN) results for TlBiTeN2 at its PBEsol-relaxed geometry.

Computed properties:
Calculated volume   121 Å³/cell
ΔE_f (raw)   1.40 eV per atom

a = 4.4006 Å, b = 4.4006 Å, c = 6.2384 Å
α = 90.00°, β = 90.00°, γ = 90.00°
Atoms (fractional coordinates):
Tl: 0.0000 0.0000 0.0000
Bi: 0.5000 0.5000 0.5000
Te: 0.5000 0.5000 0.0000
-- stop --

Ubisoft’s first horror game was casually dismissed as a lesser version of Resident Evil 4 (despite only being released two months after that game), but time has been very kind to Cold Fear.
This story of a United States Coast Guard who must navigate a ship filled with deadly operatives and their mutated crewmates immediately scores points for its innovative control scheme. Making your way through the upper decks of this ship in a storm requires you to constantly maintain your balance. That mechanic alone throws a wrench into how you would typically approach games such as this.
If anything, Cold Fear‘s combat, enemy design, and isolated locations make it more of a predecessor to Dead Space than a “rip-off” of Resident Evil 4. This one is still on Steam, so you should absolutely check it out.

We’re not going to lie to you: unless you’ve got a Dreamcast, and you’re willing to spend a ton of money on a copy of Illbleed, you’ll probably never (legally) play this game.
That’s truly a shame, as Illbleed is a genre gem. Essentially a tribute to a variety of B-movies, Illbleed sees you navigate a variety of horror-themed theaters with the help of several playable characters and their unique skillsets. The gameplay is…awful, but the music, environments, and corny dialog check a lot of boxes that many other games simply do not.
Illbleed is a rough ride, but the journey is worth it.
Michigan: Report From Hell

**Records of crystals from another source follow:**
********
# 1
# CeMn4P12 GGA-PBE optimized geometry
# M_tot (μB per formula unit): 3.98
# E_form (eV per atom): -0.5010
data_CeMn4P12
_cell_length_a 7.919
_cell_length_b 7.919
_cell_length_c 7.919
_cell_angle_alpha 90.00
_cell_angle_beta 90.00
_cell_angle_gamma 90.00
_space_group_name_H-M_alt 'I m -3'
_space_group_IT_number 204
_space_group_name_Hall '-I 2 2 3'
loop_
_atom_site_label
_atom_site_fract_x
_atom_site_fract_y
_atom_site_fract_z
_atom_site_occupancy
Ce1 0.000 0.000 0.000 1
Mn1 0.250 0.250 0.250 1
P1 0.000 0.352 0.148 1

# 2
# Ti3HgPd6 GGA-PBE optimized geometry
# M_tot (μB per formula unit): 0.00
# E_form (eV per atom): -0.3205
data_Ti3HgPd6
_cell_length_a 9.758
_cell_length_b 13.558
_cell_length_c 5.055
_cell_angle_alpha 90.00
_cell_angle_beta 90.00
_cell_angle_gamma 90.00
_space_group_name_H-M_alt 'C m c 21'
_space_group_IT_number 36
loop_
_space_group_symop_operation_xyz
'x,y,z'
'-x,-y,z+1/2'
'-x,y,z'
'x,-y,z+1/2'
'x+1/2,y+1/2,z'
'-x+1/2,-y+1/2,z+1/2'
'-x+1/2,y+1/2,z'
'x+1/2,-y+1/2,z+1/2'
loop_
_atom_site_label
_atom_site_fract_x
_atom_site_fract_y
_atom_site_fract_z
_atom_site_occupancy
Ti1 0.000 0.119 0.000 1
Ti2 0.194 0.402 0.334 1
Hg1 0.000 0.321 0.992 1
Pd1 0.000 0.231 0.496 1
Pd2 0.000 0.468 0.642 1
Pd3 0.141 0.045 0.467 1
Pd4 0.244 0.209 0.224 1

# 3
# MgTcOs2 GGA-PBE optimized geometry
# M_tot (μB per formula unit): 0.00
# E_form (eV per atom): 0.1671
data_MgTcOs2
_cell_length_a 9.973
_cell_length_b 2.806
_cell_length_c 4.727
_cell_angle_alpha 90.00
_cell_angle_beta 114.24
_cell_angle_gamma 90.00
_space_group_name_H-M_alt 'C 1 m 1'
_space_group_IT_number 8
loop_
_space_group_symop_operation_xyz
'x,y,z'
'x,-y,z'
'x+1/2,y+1/2,z'
'x+1/2,-y+1/2,z'
loop_
_atom_site_label
_atom_site_fract_x
_atom_site_fract_y
_atom_site_fract_z
_atom_site_occupancy
Mg1 0.000 0.000 0.000 1
Tc1 0.281 0.500 0.391 1
Os1 0.020 0.500 0.500 1
Os2 0.242 0.000 0.886 1

# 4
# Sc2SbP GGA-PBE optimized geometry
# M_tot (μB per formula unit): 0.00
# Energy relative to the elements, uncorrected (eV per atom): -1.085
data_Sc2SbP
_cell_length_a 3.974
_cell_length_b 3.974
_cell_length_c 5.628
_cell_angle_alpha 90.00
_cell_angle_beta 90.00
_cell_angle_gamma 90.00
_space_group_name_H-M_alt 'P 4/m m m'
_space_group_IT_number 123
_space_group_name_Hall '-P 4 2'
loop_
_atom_site_label
_atom_site_fract_x
_atom_site_fract_y
_atom_site_fract_z
_atom_site_occupancy
Sc1 0.000 0.000 0.000 1
Sc2 0.500 0.500 0.500 1
Sb1 0.000 0.000 0.500 1
P1 0.500 0.500 0.000 1

* * * * *

This record from Alexandria describes an optimized crystal structure of YCrN2F. The functional is PBE with a Hubbard U.
********
**The entry goes on:**

Now, we’d never go so far as to call this a “good” game. In fact, it’s absolutely awful from a gameplay, storytelling, visual, and voice-acting standpoint.
Yet, much like Troll 2, this is one of those pieces of horror that is so unbelievably bad that you simply must witness it for yourself. You could never make a horror game this awkward, this janky, or this downright bizarre if you assembled an expert team of top developers and gave them an unlimited budget to accomplish that very goal.
That’s what makes Michigan: Report From Hell so special, though. It’s an irreplaceable misfire that argues games can also be “so bad, they’re good.”
Article updated. Original publish date Oct. 13, 2020